+++
Simulated powder diffraction line list
Compound: MnBr2F8
Radiation: a wavelength of 1.5418 Å
Structure: a structure optimized by DFT (GGA+U)
Intensities are scaled so that the largest is 100.

Crystal structure
Cell: 5.389 6.235 6.486 Å, 96.86 107.91 106.50°
Sites, in units of the cell vectors:
1 Mn 0.000 0.000 0.000
2 Br 0.249 0.196 0.579
3 Br 0.751 0.804 0.421
4 F 0.166 0.830 0.885
5 F 0.185 0.273 0.845
6 F 0.312 0.099 0.298
7 F 0.374 0.603 0.299
8 F 0.626 0.397 0.701
9 F 0.688 0.901 0.702
10 F 0.815 0.727 0.155
11 F 0.834 0.170 0.115
+++
The reader should find "0.298" and "0.299" in the rows earlier on, and echo these two lines and those between.
6 F 0.312 0.099 0.298
7 F 0.374 0.603 0.299